Input:
/*
[1]
Ti2MnO4 after structural relaxation, computed with GGA+U.

a b c (Å): 6.1207 6.1207 6.1207
angles (deg): 60.00 60.00 60.00
Fractional positions:
Ti 0.0000 0.5000 0.5000
O 0.2613 0.7160 0.2613
Mn 0.1250 0.1250 0.1250
O 0.2840 0.7387 0.7387
O 0.7387 0.7387 0.7387
O 0.7160 0.2613 0.2613
Ti 0.5000 0.0000 0.5000
Ti 0.5000 0.5000 0.5000
O 0.7387 0.7387 0.2840
Mn 0.8750 0.8750 0.8750
Ti 0.5000 0.5000 0.0000
O 0.2613 0.2613 0.2613
O 0.2613 0.2613 0.7160
O 0.7387 0.2840 0.7387

Output
- M_tot: 3.31 μB per formula unit



[2]
VOF after structural relaxation, computed with GGA+U.

a b c (Å): 4.6647 5.6667 7.8787
angles (deg): 85.96 88.79 88.56
Fractional positions:
O 0.6886 0.5386 0.7653
O 0.8082 0.7102 0.0916
F 0.2973 0.8027 0.8877
V 0.5200 0.8317 0.6488
F 0.7027 0.1973 0.1123
O 0.1918 0.2898 0.9084
F 0.2059 0.9617 0.2281
V 0.4800 0.1683 0.3512
F 0.1980 0.6331 0.5571
V 0.0000 0.0000 0.0000
O 0.3114 0.4614 0.2347
O 0.7080 0.8750 0.4263
F 0.7941 0.0383 0.7719
V 0.5000 0.5000 0.0000
O 0.2920 0.1250 0.5737
F 0.8020 0.3669 0.4429
V 0.9849 0.6597 0.3148
V 0.0151 0.3403 0.6852

Output
- M_tot: 2.00 μB per formula unit



[3]
LiCoPO4 after structural relaxation, computed with GGA+U.

a b c (Å): 4.8215 8.3888 8.4913
angles (deg): 99.72 89.86 73.15
Fractional positions:
Li 0.6453 0.7127 0.7861
Li 0.9938 0.0153 0.0020
Co 0.3278 0.3427 0.2269
P 0.7050 0.5892 0.4305
O 0.7247 0.2012 0.5118
Co 0.8258 0.3492 0.7132
P 0.9303 0.1351 0.3538
O 0.9372 0.5214 0.9080
O 0.6089 0.7790 0.4616
Li 0.4915 0.0138 0.5017
O 0.0270 0.9454 0.3218
Co 0.3109 0.3774 0.5746
O 0.9075 0.5214 0.2721
O 0.2540 0.2032 0.7120
P 0.2064 0.5915 0.9341
O 0.5276 0.9475 0.8259
O 0.8828 0.5234 0.5757
O 0.4120 0.5254 0.7759
O 0.7599 0.2034 0.2085
Co 0.8089 0.3838 0.0608
P 0.4318 0.1373 0.8573
O 0.2294 0.2051 0.0157
O 0.1094 0.7811 0.9659
Li 0.1430 0.7112 0.2857
O 0.7004 0.2083 0.8739
O 0.1996 0.2051 0.3798
O 0.3768 0.5232 0.0793
O 0.4366 0.5180 0.4140

Output
- M_tot: 0.00 μB per formula unit



[4]
Cs3Mn4P12O36 after structural relaxation, computed with GGA+U.

a b c (Å): 9.6841 9.6841 12.6266
angles (deg): 59.18 59.18 63.41
Fractional positions:
P 0.6065 0.1978 0.3716
O 0.7255 0.4759 0.7391
P 0.6668 0.6668 0.7268
O 0.9453 0.2493 0.6560
P 0.3332 0.3332 0.2732
Mn 0.7918 0.7918 0.4115
O 0.8228 0.8228 0.0265
Cs 0.7842 0.2158 0.0000
O 0.3199 0.6534 0.6715
O 0.1776 0.4733 0.5064
O 0.4759 0.7255 0.7391
Mn 0.7494 0.7494 0.9272
P 0.2380 0.2380 0.8248
P 0.1978 0.6065 0.3716
O 0.5087 0.1996 0.9244
O 0.3389 0.3389 0.1504
O 0.0050 0.7060 0.7902
P 0.1650 0.5813 0.8003
O 0.8224 0.5267 0.4936
O 0.1996 0.5087 0.9244
P 0.7620 0.7620 0.1752
Mn 0.2506 0.2506 0.0728
Cs 0.2158 0.7842 0.0000
O 0.8139 0.5638 0.2397
O 0.2940 0.9950 0.2098
O 0.7696 0.7696 0.5926
Mn 0.2082 0.2082 0.5885
O 0.4733 0.1776 0.5064
O 0.5241 0.2745 0.2609
O 0.1772 0.1772 0.9735
O 0.5267 0.8224 0.4936
O 0.7060 0.0050 0.7902
Cs 0.0000 0.0000 0.5000
O 0.0547 0.7507 0.3440
P 0.4187 0.8350 0.1997
O 0.8256 0.8256 0.2251
P 0.8022 0.3935 0.6284
O 0.7507 0.0547 0.3440
O 0.5638 0.8139 0.2397
P 0.8350 0.4187 0.1997
O 0.4362 0.1861 0.7603
O 0.3466 0.6801 0.3285
P 0.5813 0.1650 0.8003
O 0.1744 0.1744 0.7749
O 0.6611 0.6611 0.8496
P 0.3935 0.8022 0.6284
O 0.2304 0.2304 0.4074
O 0.6534 0.3199 0.6715
O 0.1861 0.4362 0.7603
O 0.6801 0.3466 0.3285
O 0.8004 0.4913 0.0756
O 0.9950 0.2940 0.2098
O 0.2745 0.5241 0.2609
O 0.2493 0.9453 0.6560
O 0.4913 0.8004 0.0756



[5]
Rb7U8V2ClO32 after structural relaxation, computed with GGA+U.

a b c (Å): 11.9141 14.4465 21.6030
angles (deg): 90.00 90.00 90.00
Fractional positions:
O 0.0310 0.1561 0.2500
O 0.6090 0.3431 0.5903
O 0.7352 0.6672 0.9166
O 0.9283 0.2626 0.3501
O 0.9277 0.3974 0.2500
O 0.7686 0.1200 0.4033
O 0.5112 0.6045 0.5647
Rb 0.9546 0.0281 0.3465
O 0.4888 0.3955 0.4353
O 0.9008 0.7540 0.1496
O 0.5414 0.0964 0.9339
U 0.2360 0.7511 0.5941
O 0.9139 0.3496 0.9103
U 0.0698 0.2789 0.0765
O 0.0916 0.7548 0.9747
Rb 0.2559 0.5195 0.0239
Rb 0.4546 0.4719 0.8465
O 0.7648 0.1672 0.9166
O 0.8624 0.6823 0.6858
*/

Exercise:
Duplicate everything further up verbatim.

Reply:
[1]
Ti2MnO4 after structural relaxation, computed with GGA+U.

a b c (Å): 6.1207 6.1207 6.1207
angles (deg): 60.00 60.00 60.00
Fractional positions:
Ti 0.0000 0.5000 0.5000
O 0.2613 0.7160 0.2613
Mn 0.1250 0.1250 0.1250
O 0.2840 0.7387 0.7387
O 0.7387 0.7387 0.7387
O 0.7160 0.2613 0.2613
Ti 0.5000 0.0000 0.5000
Ti 0.5000 0.5000 0.5000
O 0.7387 0.7387 0.2840
Mn 0.8750 0.8750 0.8750
Ti 0.5000 0.5000 0.0000
O 0.2613 0.2613 0.2613
O 0.2613 0.2613 0.7160
O 0.7387 0.2840 0.7387

Output
- M_tot: 3.31 μB per formula unit



[2]
VOF after structural relaxation, computed with GGA+U.

a b c (Å): 4.6647 5.6667 7.8787
angles (deg): 85.96 88.79 88.56
Fractional positions:
O 0.6886 0.5386 0.7653
O 0.8082 0.7102 0.0916
F 0.2973 0.8027 0.8877
V 0.5200 0.8317 0.6488
F 0.7027 0.1973 0.1123
O 0.1918 0.2898 0.9084
F 0.2059 0.9617 0.2281
V 0.4800 0.1683 0.3512
F 0.1980 0.6331 0.5571
V 0.0000 0.0000 0.0000
O 0.3114 0.4614 0.2347
O 0.7080 0.8750 0.4263
F 0.7941 0.0383 0.7719
V 0.5000 0.5000 0.0000
O 0.2920 0.1250 0.5737
F 0.8020 0.3669 0.4429
V 0.9849 0.6597 0.3148
V 0.0151 0.3403 0.6852

Output
- M_tot: 2.00 μB per formula unit



[3]
LiCoPO4 after structural relaxation, computed with GGA+U.

a b c (Å): 4.8215 8.3888 8.4913
angles (deg): 99.72 89.86 73.15
Fractional positions:
Li 0.6453 0.7127 0.7861
Li 0.9938 0.0153 0.0020
Co 0.3278 0.3427 0.2269
P 0.7050 0.5892 0.4305
O 0.7247 0.2012 0.5118
Co 0.8258 0.3492 0.7132
P 0.9303 0.1351 0.3538
O 0.9372 0.5214 0.9080
O 0.6089 0.7790 0.4616
Li 0.4915 0.0138 0.5017
O 0.0270 0.9454 0.3218
Co 0.3109 0.3774 0.5746
O 0.9075 0.5214 0.2721
O 0.2540 0.2032 0.7120
P 0.2064 0.5915 0.9341
O 0.5276 0.9475 0.8259
O 0.8828 0.5234 0.5757
O 0.4120 0.5254 0.7759
O 0.7599 0.2034 0.2085
Co 0.8089 0.3838 0.0608
P 0.4318 0.1373 0.8573
O 0.2294 0.2051 0.0157
O 0.1094 0.7811 0.9659
Li 0.1430 0.7112 0.2857
O 0.7004 0.2083 0.8739
O 0.1996 0.2051 0.3798
O 0.3768 0.5232 0.0793
O 0.4366 0.5180 0.4140

Output
- M_tot: 0.00 μB per formula unit



[4]
Cs3Mn4P12O36 after structural relaxation, computed with GGA+U.

a b c (Å): 9.6841 9.6841 12.6266
angles (deg): 59.18 59.18 63.41
Fractional positions:
P 0.6065 0.1978 0.3716
O 0.7255 0.4759 0.7391
P 0.6668 0.6668 0.7268
O 0.9453 0.2493 0.6560
P 0.3332 0.3332 0.2732
Mn 0.7918 0.7918 0.4115
O 0.8228 0.8228 0.0265
Cs 0.7842 0.2158 0.0000
O 0.3199 0.6534 0.6715
O 0.1776 0.4733 0.5064
O 0.4759 0.7255 0.7391
Mn 0.7494 0.7494 0.9272
P 0.2380 0.2380 0.8248
P 0.1978 0.6065 0.3716
O 0.5087 0.1996 0.9244
O 0.3389 0.3389 0.1504
O 0.0050 0.7060 0.7902
P 0.1650 0.5813 0.8003
O 0.8224 0.5267 0.4936
O 0.1996 0.5087 0.9244
P 0.7620 0.7620 0.1752
Mn 0.2506 0.2506 0.0728
Cs 0.2158 0.7842 0.0000
O 0.8139 0.5638 0.2397
O 0.2940 0.9950 0.2098
O 0.7696 0.7696 0.5926
Mn 0.2082 0.2082 0.5885
O 0.4733 0.1776 0.5064
O 0.5241 0.2745 0.2609
O 0.1772 0.1772 0.9735
O 0.5267 0.8224 0.4936
O 0.7060 0.0050 0.7902
Cs 0.0000 0.0000 0.5000
O 0.0547 0.7507 0.3440
P 0.4187 0.8350 0.1997
O 0.8256 0.8256 0.2251
P 0.8022 0.3935 0.6284
O 0.7507 0.0547 0.3440
O 0.5638 0.8139 0.2397
P 0.8350 0.4187 0.1997
O 0.4362 0.1861 0.7603
O 0.3466 0.6801 0.3285
P 0.5813 0.1650 0.8003
O 0.1744 0.1744 0.7749
O 0.6611 0.6611 0.8496
P 0.3935 0.8022 0.6284
O 0.2304 0.2304 0.4074
O 0.6534 0.3199 0.6715
O 0.1861 0.4362 0.7603
O 0.6801 0.3466 0.3285
O 0.8004 0.4913 0.0756
O 0.9950 0.2940 0.2098
O 0.2745 0.5241 0.2609
O 0.2493 0.9453 0.6560
O 0.4913 0.8004 0.0756



[5]
Rb7U8V2ClO32 after structural relaxation, computed with GGA+U.

a b c (Å): 11.9141 14.4465 21.6030
angles (deg): 90.00 90.00 90.00
Fractional positions:
O 0.0310 0.1561 0.2500
O 0.6090 0.3431 0.5903
O 0.7352 0.6672 0.9166
O 0.9283 0.2626 0.3501
O 0.9277 0.3974 0.2500
O 0.7686 0.1200 0.4033
O 0.5112 0.6045 0.5647
Rb 0.9546 0.0281 0.3465
O 0.4888 0.3955 0.4353
O 0.9008 0.7540 0.1496
O 0.5414 0.0964 0.9339
U 0.2360 0.7511 0.5941
O 0.9139 0.3496 0.9103
U 0.0698 0.2789 0.0765
O 0.0916 0.7548 0.9747
Rb 0.2559 0.5195 0.0239
Rb 0.4546 0.4719 0.8465
O 0.7648 0.1672 0.9166
O 0.8624 0.6823 0.6858